**Data**
i.
Here is an isolated ion of composition C11H14N and charge +1 from OMol25. Energies are from ωB97M-V/def2-TZVPD.

Output
HOMO = -12.75 eV
SMILES string = C[N+]1(C)[C@@H]2Cc3ccccc3[C@@H]21
Kohn-Sham gap = 9.909 eV
Total charge = +1

CARTESIAN COORDINATES (ANGSTROEM)
N: -0.060 -1.064 -0.886
C: -1.779 1.258 1.482
C: 0.840 2.239 1.649
C: -0.505 -2.039 -1.895
C: 0.601 0.161 -1.496
C: -0.167 2.697 2.529
C: -0.937 0.105 -0.726
C: 0.626 -1.838 0.111
C: -0.855 0.948 0.465
C: 0.471 1.458 0.609
C: -1.437 2.141 2.443
C: 1.391 1.031 -0.527
H: -2.167 2.483 3.086
H: 1.737 1.841 -1.237
H: -1.902 -0.044 -1.221
H: 0.593 0.153 -2.491
H: 0.338 -2.552 -2.133
H: 1.040 -1.101 0.838
H: -1.196 -2.665 -1.437
H: -0.947 -1.402 -2.616
H: -2.792 0.816 1.451
H: 1.825 2.360 1.989
H: 1.407 -2.423 -0.350
H: -0.020 3.384 3.369
H: -0.101 -2.705 0.479
H: 2.294 0.490 -0.379

Results of the Mulliken charge analysis, in e, for atoms 1 through 2: N 0.3796; C -0.6206



ii.
Here is an isolated ion of composition C11H14N and charge +1 from OMol25. Energies are from ωB97M-V/def2-TZVPD.

Output
HOMO (alpha / beta) = -12.32 / -12.18 eV
Kohn-Sham gap (alpha / beta) = 8.773 / 8.398 eV
Total charge = +1

CARTESIAN COORDINATES (ANGSTROEM)
N: -2.129 -1.480 -0.582
C: 0.068 -0.303 -0.596
C: 1.273 1.781 -0.474
C: -0.060 1.025 1.516
C: -0.767 -1.349 0.021
C: 1.700 1.617 -1.781
C: 1.309 0.506 -2.506
C: 0.370 2.263 2.265
C: -0.873 0.172 2.062
C: 0.498 -0.445 -1.913
C: 0.446 0.842 0.133
C: -0.187 -2.663 0.412
H: -0.108 2.301 3.241
H: 0.093 3.151 1.702
H: -1.418 -0.180 2.897
H: 1.591 2.659 0.063
H: 1.449 2.247 2.406
H: -0.014 -3.301 -0.462
H: 0.218 -1.325 -2.475
H: -0.840 -3.198 1.100
H: 2.338 2.360 -2.232
H: 0.770 -2.508 0.900
H: 1.635 0.369 -3.525
H: -2.499 -0.547 -0.801
H: -2.105 -2.042 -1.451
H: -2.758 -1.954 0.080

Results of the Mulliken charge analysis, in e, for atoms 1 through 2: N -0.0947; C 0.1225



Stability ranking, top and bottom: i is the most stable and ii is the least stable.



i.
Here is C5H9N2 as an isolated structure from OMol25. Energies are from ωB97M-V/def2-TZVPD.

Output
HOMO = -14.22 eV
Kohn-Sham gap = 10.025 eV
Total charge = +1

CARTESIAN COORDINATES (ANGSTROEM)
N: 0.414 1.152 -1.517
N: -0.813 0.232 0.586
C: 1.354 -0.449 0.107
C: 1.192 -0.043 -1.370
C: -2.206 0.438 0.939
C: 0.104 -0.630 0.790
C: -0.439 1.604 -0.717
H: -2.312 1.281 1.649
H: -2.803 0.561 0.039
H: 0.478 1.639 -2.462
H: -2.392 -0.487 1.592
H: 0.529 -0.873 -1.721
H: 2.131 0.255 -1.863
H: 2.166 -1.319 0.194
H: 1.911 0.361 0.688
H: -0.055 -1.585 1.339

Results of the Mulliken charge analysis, in e, for atoms 1 through 2: N -0.0190; N -0.0594



ii.
Here is an isolated ion of composition C5H9N2 and charge +1 from OMol25. Energies are from ωB97M-V/def2-TZVPD.

Output
HOMO = -14.15 eV
SMILES string = CN1C=[NH+][C@@H]2C[C@@H]21
Kohn-Sham gap = 10.561 eV
Total charge = +1

CARTESIAN COORDINATES (ANGSTROEM)
N: 0.653 -0.308 0.076
N: -1.297 -1.384 -0.055
C: 0.041 -1.371 -0.386
C: -1.687 -0.115 0.475
C: -0.329 0.666 0.648
C: -1.378 1.037 -0.388
C: 2.027 0.135 0.106
H: -2.498 -0.128 1.188
H: 0.473 -2.100 -1.063
H: -2.003 -1.921 -0.409
H: -1.335 0.755 -1.526
H: 2.155 0.059 1.230
H: -1.852 1.980 -0.228
H: 2.213 1.207 -0.121
H: 2.790 -0.446 -0.382
H: -0.076 1.325 1.376

Results of the Mulliken charge analysis, in e, for atoms 1 through 2: N 0.1138; N -0.1172



iii.
Here is an isolated ion of composition C5H9N2 and charge +1 from OMol25. Energies are from ωB97M-V/def2-TZVPD.

Output
HOMO = -13.68 eV
SMILES string = [H]/N=C\CC(C)=C=[NH2+]
Kohn-Sham gap = 8.582 eV
Total charge = +1

CARTESIAN COORDINATES (ANGSTROEM)
N: -1.044 -0.496 2.122
N: 1.551 -1.917 0.049
C: 0.846 1.422 -1.037
C: 0.103 0.083 -0.890
C: -1.421 0.277 1.208
C: 0.875 -0.942 -0.499
C: -1.377 0.281 -0.372
H: -2.082 -0.463 -0.860
H: -1.544 1.395 -0.518
H: 1.587 -2.054 1.000
H: -2.084 1.034 1.624
H: 1.947 1.671 -1.193
H: 0.299 1.900 -1.957
H: -0.545 -1.534 1.943
H: 0.725 2.056 -0.159
H: 2.164 -2.711 -0.461
**What to do**
What is needed: count the lines further up that contain the word "eV" and give the number alone.
**Response**
10